• Activity:
Your job: retype all of the rows further below without additions.
• Source:
No. 1
Entry from OMol25: one molecule with the formula C23H21N3O7 in a non-equilibrium geometry (the ωB97M-V functional and the def2-TZVPD basis).

Summary:
LUMO level = 0.514 eV
Relative energy (zero: lowest compared OMol25 entry of this formula, charge and spin) = 0.0 kcal/mol
Kohn-Sham gap = 8.89 eV
SMILES = COc1ccc(C(=O)NCC(=O)N/N=C/c2cccc(OC(=O)c3ccco3)c2)cc1OC

ORCA input file:
```
! wB97M-V def2-TZVPD RIJCOSX def2/J DEFGRID3
* xyz 0 1
C 7.5097 -0.9551 2.1800
O 6.6452 -2.0129 1.8255
C 5.3059 -1.9406 2.0184
C 4.6079 -3.0532 1.5486
C 3.2395 -3.1695 1.6649
C 2.5168 -2.1453 2.2654
C 1.0477 -2.1429 2.4462
O 0.4173 -1.1164 2.6786
N 0.4230 -3.3401 2.3708
C -0.9953 -3.4803 2.6148
C -1.8478 -3.1428 1.3773
O -2.4994 -3.9818 0.7940
N -1.7655 -1.8255 1.0602
N -2.3479 -1.1350 0.0580
C -3.1619 -1.6506 -0.7767
C -3.7456 -0.8202 -1.8156
C -4.6629 -1.3725 -2.7110
C -5.2312 -0.5895 -3.6967
C -4.9007 0.7507 -3.8173
C -3.9775 1.2989 -2.9353
O -3.6157 2.6407 -2.9482
C -3.4762 3.3245 -4.1023
O -3.6125 2.8693 -5.2076
C -3.1107 4.7124 -3.8001
C -2.9204 5.3539 -2.5980
C -2.5806 6.6822 -2.9162
C -2.5888 6.7509 -4.2812
O -2.9057 5.5745 -4.8181
C -3.4058 0.5257 -1.9384
C 3.2011 -1.0195 2.7219
C 4.5763 -0.8932 2.6203
O 5.2594 0.2014 3.0790
C 4.5298 1.2571 3.6579
H 7.2601 -0.0348 1.6490
H 7.4988 -0.7670 3.2551
H 8.5020 -1.2907 1.8791
H 5.1895 -3.8317 1.0808
H 2.7588 -4.0450 1.2559
H 0.9421 -4.1660 2.1274
H -1.2737 -2.7971 3.4242
H -1.2101 -4.5083 2.9074
H -1.1411 -1.2439 1.6283
H -3.4637 -2.6955 -0.7670
H -4.9285 -2.4159 -2.6258
H -5.9446 -1.0201 -4.3829
H -5.3477 1.3560 -4.5885
H -3.0156 4.9161 -1.6261
H -2.3608 7.4757 -2.2321
H -2.3903 7.5625 -4.9539
H -2.6972 0.9599 -1.2527
H 2.6049 -0.2397 3.1674
H 5.2731 2.0062 3.9271
H 3.9990 0.9335 4.5583
H 3.8174 1.6903 2.9498
*
```


No. 2
Entry from OMol25: C23H21N7Na as an isolated structure in a non-equilibrium geometry (the ωB97M-V functional and the def2-TZVPD basis).

Summary:
LUMO level = -2.084 eV
Kohn-Sham gap = 9.18 eV

ORCA input file:
```
! wB97M-V def2-TZVPD RIJCOSX def2/J DEFGRID3
* xyz 1 1
Na 1.0721 0.0077 -0.2761
C 2.1820 -0.7351 2.4615
N 1.7698 0.5529 1.9192
C 0.5955 1.2006 2.4909
C -0.1470 1.9393 1.4014
N 0.2362 1.9801 0.1528
C -0.7898 2.6576 -0.5183
C -0.9247 2.9621 -1.8716
C -2.0815 3.6032 -2.2751
C -3.0878 3.9426 -1.3547
C -2.9627 3.6560 -0.0083
C -1.7941 3.0114 0.3812
N -1.3432 2.5516 1.6089
C 2.9152 -1.5050 1.3881
N 2.8601 -1.2198 0.1113
C 3.6525 -2.1915 -0.5155
C 3.9565 -2.3691 -1.8642
C 4.7766 -3.4269 -2.2040
C 5.2933 -4.2940 -1.2266
C 5.0045 -4.1273 0.1135
C 4.1752 -3.0599 0.4393
N 3.6884 -2.5879 1.6515
H 1.2896 -1.2963 2.7494
H 2.8091 -0.6665 3.3547
H 2.5514 1.1922 1.8709
H 0.8239 1.8779 3.3180
H -0.0687 0.4329 2.8953
H -0.1407 2.7129 -2.5772
H -2.2141 3.8636 -3.3180
H -3.9774 4.4498 -1.7067
H -3.7406 3.9167 0.6983
H -1.8242 2.6365 2.4875
H 3.5658 -1.6946 -2.6161
H 5.0327 -3.5944 -3.2427
H 5.9369 -5.1094 -1.5311
H 5.4067 -4.7956 0.8642
H 3.8750 -2.9763 2.5600
N -2.4754 -0.3631 -2.3709
C -1.2092 -0.6128 -1.9545
N -1.0877 -0.6555 -0.6522
C -2.3756 -0.4183 -0.1716
C -2.8440 -0.3573 1.1413
C -4.1790 -0.0733 1.3373
C -5.0471 0.1463 0.2509
C -4.6037 0.0729 -1.0532
C -3.2542 -0.2180 -1.2355
H -2.7815 -0.2904 -3.3252
H -0.3968 -0.7557 -2.6557
H -2.1802 -0.5465 1.9771
H -4.5755 -0.0290 2.3441
H -6.0894 0.3651 0.4445
H -5.2730 0.2378 -1.8883
*
```


No. 3
Entry from OMol25: C23H22AsClMgN4O6S4 as an isolated structure (the ωB97M-V functional and the def2-TZVPD basis).

Summary:
LUMO level = 3.880 eV
Kohn-Sham gap = 5.83 eV

ORCA input file:
```
! wB97M-V def2-TZVPD RIJCOSX def2/J DEFGRID3
* xyz -2 1
Mg -1.5376 -0.3503 -1.0153
O -3.4262 3.3902 2.6003
C -2.5109 2.6841 3.2781
C -2.2619 3.0498 4.6037
C -1.3337 2.3618 5.3625
C -0.6291 1.2946 4.8156
C -0.8713 0.9278 3.5034
C -1.8007 1.6032 2.7177
C -1.9939 1.1442 1.3126
O -1.3225 0.1532 0.9065
N -2.9007 1.7955 0.6020
N -2.9908 1.2860 -0.6723
C -3.7294 1.9066 -1.4932
S -4.0616 1.2614 -3.0894
C -4.4169 2.9023 -3.7619
C -5.2912 3.6202 -2.7496
• Reply:
No. 1
Entry from OMol25: one molecule with the formula C23H21N3O7 in a non-equilibrium geometry (the ωB97M-V functional and the def2-TZVPD basis).

Summary:
LUMO level = 0.514 eV
Relative energy (zero: lowest compared OMol25 entry of this formula, charge and spin) = 0.0 kcal/mol
Kohn-Sham gap = 8.89 eV
SMILES = COc1ccc(C(=O)NCC(=O)N/N=C/c2cccc(OC(=O)c3ccco3)c2)cc1OC

ORCA input file:
```
! wB97M-V def2-TZVPD RIJCOSX def2/J DEFGRID3
* xyz 0 1
C 7.5097 -0.9551 2.1800
O 6.6452 -2.0129 1.8255
C 5.3059 -1.9406 2.0184
C 4.6079 -3.0532 1.5486
C 3.2395 -3.1695 1.6649
C 2.5168 -2.1453 2.2654
C 1.0477 -2.1429 2.4462
O 0.4173 -1.1164 2.6786
N 0.4230 -3.3401 2.3708
C -0.9953 -3.4803 2.6148
C -1.8478 -3.1428 1.3773
O -2.4994 -3.9818 0.7940
N -1.7655 -1.8255 1.0602
N -2.3479 -1.1350 0.0580
C -3.1619 -1.6506 -0.7767
C -3.7456 -0.8202 -1.8156
C -4.6629 -1.3725 -2.7110
C -5.2312 -0.5895 -3.6967
C -4.9007 0.7507 -3.8173
C -3.9775 1.2989 -2.9353
O -3.6157 2.6407 -2.9482
C -3.4762 3.3245 -4.1023
O -3.6125 2.8693 -5.2076
C -3.1107 4.7124 -3.8001
C -2.9204 5.3539 -2.5980
C -2.5806 6.6822 -2.9162
C -2.5888 6.7509 -4.2812
O -2.9057 5.5745 -4.8181
C -3.4058 0.5257 -1.9384
C 3.2011 -1.0195 2.7219
C 4.5763 -0.8932 2.6203
O 5.2594 0.2014 3.0790
C 4.5298 1.2571 3.6579
H 7.2601 -0.0348 1.6490
H 7.4988 -0.7670 3.2551
H 8.5020 -1.2907 1.8791
H 5.1895 -3.8317 1.0808
H 2.7588 -4.0450 1.2559
H 0.9421 -4.1660 2.1274
H -1.2737 -2.7971 3.4242
H -1.2101 -4.5083 2.9074
H -1.1411 -1.2439 1.6283
H -3.4637 -2.6955 -0.7670
H -4.9285 -2.4159 -2.6258
H -5.9446 -1.0201 -4.3829
H -5.3477 1.3560 -4.5885
H -3.0156 4.9161 -1.6261
H -2.3608 7.4757 -2.2321
H -2.3903 7.5625 -4.9539
H -2.6972 0.9599 -1.2527
H 2.6049 -0.2397 3.1674
H 5.2731 2.0062 3.9271
H 3.9990 0.9335 4.5583
H 3.8174 1.6903 2.9498
*
```


No. 2
Entry from OMol25: C23H21N7Na as an isolated structure in a non-equilibrium geometry (the ωB97M-V functional and the def2-TZVPD basis).

Summary:
LUMO level = -2.084 eV
Kohn-Sham gap = 9.18 eV

ORCA input file:
```
! wB97M-V def2-TZVPD RIJCOSX def2/J DEFGRID3
* xyz 1 1
Na 1.0721 0.0077 -0.2761
C 2.1820 -0.7351 2.4615
N 1.7698 0.5529 1.9192
C 0.5955 1.2006 2.4909
C -0.1470 1.9393 1.4014
N 0.2362 1.9801 0.1528
C -0.7898 2.6576 -0.5183
C -0.9247 2.9621 -1.8716
C -2.0815 3.6032 -2.2751
C -3.0878 3.9426 -1.3547
C -2.9627 3.6560 -0.0083
C -1.7941 3.0114 0.3812
N -1.3432 2.5516 1.6089
C 2.9152 -1.5050 1.3881
N 2.8601 -1.2198 0.1113
C 3.6525 -2.1915 -0.5155
C 3.9565 -2.3691 -1.8642
C 4.7766 -3.4269 -2.2040
C 5.2933 -4.2940 -1.2266
C 5.0045 -4.1273 0.1135
C 4.1752 -3.0599 0.4393
N 3.6884 -2.5879 1.6515
H 1.2896 -1.2963 2.7494
H 2.8091 -0.6665 3.3547
H 2.5514 1.1922 1.8709
H 0.8239 1.8779 3.3180
H -0.0687 0.4329 2.8953
H -0.1407 2.7129 -2.5772
H -2.2141 3.8636 -3.3180
H -3.9774 4.4498 -1.7067
H -3.7406 3.9167 0.6983
H -1.8242 2.6365 2.4875
H 3.5658 -1.6946 -2.6161
H 5.0327 -3.5944 -3.2427
H 5.9369 -5.1094 -1.5311
H 5.4067 -4.7956 0.8642
H 3.8750 -2.9763 2.5600
N -2.4754 -0.3631 -2.3709
C -1.2092 -0.6128 -1.9545
N -1.0877 -0.6555 -0.6522
C -2.3756 -0.4183 -0.1716
C -2.8440 -0.3573 1.1413
C -4.1790 -0.0733 1.3373
C -5.0471 0.1463 0.2509
C -4.6037 0.0729 -1.0532
C -3.2542 -0.2180 -1.2355
H -2.7815 -0.2904 -3.3252
H -0.3968 -0.7557 -2.6557
H -2.1802 -0.5465 1.9771
H -4.5755 -0.0290 2.3441
H -6.0894 0.3651 0.4445
H -5.2730 0.2378 -1.8883
*
```


No. 3
Entry from OMol25: C23H22AsClMgN4O6S4 as an isolated structure (the ωB97M-V functional and the def2-TZVPD basis).

Summary:
LUMO level = 3.880 eV
Kohn-Sham gap = 5.83 eV

ORCA input file:
```
! wB97M-V def2-TZVPD RIJCOSX def2/J DEFGRID3
* xyz -2 1
Mg -1.5376 -0.3503 -1.0153
O -3.4262 3.3902 2.6003
C -2.5109 2.6841 3.2781
C -2.2619 3.0498 4.6037
C -1.3337 2.3618 5.3625
C -0.6291 1.2946 4.8156
C -0.8713 0.9278 3.5034
C -1.8007 1.6032 2.7177
C -1.9939 1.1442 1.3126
O -1.3225 0.1532 0.9065
N -2.9007 1.7955 0.6020
N -2.9908 1.2860 -0.6723
C -3.7294 1.9066 -1.4932
S -4.0616 1.2614 -3.0894
C -4.4169 2.9023 -3.7619
C -5.2912 3.6202 -2.7496